Thursday, March 17, 2011

Pat on the Back

I caught snippets of a discussion the other day on self-pity and self-compassion. 'Twas interesting, and made me think not only of Japan, but all of us. Me. This community. And that maybe this woman had a point about self-compassion and not feeling quite so alone. I have a post up on Glow in the Woods.

Thursday, March 10, 2011

Makena: Or, How to Make-na Some Bucks from Women Who Have Already Paid the Highest Price

So I'm putting today's soggy, largely unread newspaper (Good Lord, this suspended priest issue is upsetting) in the recycling bin this evening when a headline catches my eye:

"Cost of Drug Preventing Preterm Labor to Soar."

_Someone pasted data records at this point_
=====
ZnInFeAu | GGA-PBE | relaxed

Output
The calculation puts the volume at 265.4 Å³ per cell. The value obtained for the final energy is -3.774 eV per atom. Its excess energy over the best structure of this formula in the dataset is 0 meV/atom.

abc: 6.427 6.427 6.427
angles: 90.00 90.00 90.00
Space group F-43m (No. 216)
Inequivalent atoms, fractional coordinates:
Zn: 0.000 0.000 0.000
In: 0.000 0.000 0.500
Fe: 0.250 0.250 0.750
Au: 0.250 0.250 0.250

* * * * *

# InRuPb2, relaxed, DFT PBE-GGA
data_InRuPb2
_cell_length_a 9.3269
_cell_length_b 9.3269
_cell_length_c 5.2740
_cell_angle_alpha 90.00
_cell_angle_beta 90.00
_cell_angle_gamma 90.00
_space_group_name_H-M_alt 'I -4 2 d'
_space_group_IT_number 122
_space_group_name_Hall 'I -4 2bw'
loop_
_atom_site_label
_atom_site_type_symbol
_atom_site_fract_x
_atom_site_fract_y
_atom_site_fract_z
_atom_site_occupancy
In1 In 0.0000 0.0000 0.0000 1
Ru1 Ru 0.0000 0.0000 0.5000 1
Pb1 Pb 0.1321 0.2500 0.6250 1
# calculated formation energy = 0.3064 eV/atom

* * * * *

Entry from the Alexandria database: crystalline Zr3Pd2Pt8 at its relaxed geometry (GGA-PBE).

extended XYZ file:
```
13
Lattice="-0.1251 4.3105 2.9596 -2.7514 0.0393 4.4479 7.0662 -1.7451 7.4615" Properties=species:S:1:pos:R:3 pbc="T T T"
Zr 0.0000 0.0000 0.0000
Zr 1.6433 2.5503 10.2193
Zr 2.5464 0.0544 4.6498
Pd -1.2275 2.6251 5.3677
Pd 5.4172 -0.0204 9.5013
Pt 3.7903 1.6956 11.5549
Pt 0.3995 0.9092 3.3142
Pt 0.1971 0.4609 6.2680
Pt 1.5109 2.5975 5.5236
Pt 0.1346 2.6172 7.7486
Pt 2.6788 0.0072 9.3455
Pt 3.9926 2.1438 8.6010
Pt 4.0552 -0.0125 7.1204
```

Properties
The formation enthalpy at 0 K is -0.50 eV/atom. As for the calculated total energy: -90.92 eV for the cell shown.

=====

Entry from the Alexandria database: crystalline ZrPd6Pt5 at its relaxed geometry (GGA-PBE).

extended XYZ file:
```
12
Lattice="3.7900 -0.0037 -1.2185 -2.5331 6.8741 -1.3963 0.2948 -0.6617 7.4226" Properties=species:S:1:pos:R:3 pbc="T T T"
Pt 1.7187 0.5920 5.3441
Pt -0.6620 1.8880 4.4388
Pt 0.7759 3.1044 2.4039
Pt -1.5763 4.3244 1.5875
Pt -0.1669 5.6168 -0.5363
Pd 0.8598 0.2795 2.6736
Pd 1.6403 3.4021 5.0917
Pd 2.2783 1.5322 0.5787
Pd -0.7266 4.6765 4.2291
Pd -0.0886 2.8066 -0.2838
Pd 0.6920 5.9293 2.1343
Zr 0.0000 0.0000 0.0000
```

Properties
The formation enthalpy at 0 K is -0.33 eV/atom. As for the calculated total energy: -73.89 eV for the cell shown.

* * * * *

(1)
Na2ZnC | GGA-PBE | optimized geometry

E: -0.077 hartree per atom
Energy relative to the lowest polymorph listed for this composition: 692 meV/atom
DOS at the Fermi energy: 2.0 states/eV/cell
Formation enthalpy at 0 K: 1196 meV per atom

Lattice parameters (Å, degrees): 4.599 4.599 4.599 60.00 60.00 60.00
Last column: magnetic moment on the atom in μB.
Fractional positions:
Zn1 0.500 0.500 0.500  -0.01
C1 0.000 0.000 0.000  0.20
Na1 0.750 0.750 0.750  0.00
Na2 0.250 0.250 0.250  0.00

(2)
MgTl2Pb2 | GGA-PBE | optimized geometry

E: -0.102 hartree per atom
=====

Oh, like I needed that kick in the crotch.

Here's the situation as I understand it having surfed around and found a few more articles:

Apparently there's a synthetic-progesterone-based injection that doctors have prescribed for years in order to prevent pre-term labor. It's generally given from about week 16 through the end of the pregnancy, and has shown to be quite effective. Generally, a pharmacy can mix up this concoction and charges somewhere in the neighborhood of $15-20 per dose. In sum, people know how to make it, it works, it's very cheap. Yay babies not being born early!

Then Big Pharm company KV Pharmaceutical comes along and requests FDA approval of this drug they're calling Makena. It's the same fucking thing as before, but now probably in fancy packaging. (I'm guessing a lovely gender neutral purple.) Zero dollars were spent doing R&D because everybody and their mother already knew about it and how to make it, but I'm sure some bucks went into marketing. The FDA approved it, which means KV has a lock on it for the next number of years, they're going to make pharmacies cease and desist making it, and they're going to charge . . . .

$1,500 per dose. Which comes out to about $30,000 per pregnancy.


Obviously the doctors and insurance companies are beyond alarmed. One doctor in the article is outraged, another "breathless." Everyone is worried sick that women who lack insurance, or whose insurance refuses to pay it (pre-existing condition anyone? Because obviously you need to experience a pre-labor catastrophe in order to conclude that you have a problem, and may need this drug), or who get government-assistance (the government is a bit cash strapped of late, in case you've been preoccupied) will not get it. (The company claims it will offer assistance. I'm not sure where that leaves people who are independently insured but whose insurance companies don't cover pregnancy. Like mine.) Insurance companies are dry-heaving because of course they want to cover this, but now they'll have to (big surprise) raise rates across the board in order to cover this. One Aetna rep in one of the articles I perused claimed that she knows of 1,000 people or so who get this drug per year in her system.

The drug company? They defend the outrageous price hike with the following statement:

KV Pharmaceutical chief executive Gregory J. Divis Jr. said the cost was justified to avoid the mental and physical disabilities that can come with very premature births. The cost of care for a preemie is estimated at $51,000 in the first year alone.

"Makena can help offset some of those costs," Divis said. "These moms deserve the opportunity to have the benefits of an FDA-approved Makena."

Let me get this straight. You're going to charge mothers $30,000 to offset a potential $51,000, thus saving the health care system $21,000 per child.

Aren't you so fucking sweet. Because until you came along, the cost of the drug per pregnancy was $400, making the savings $50,700.

And those are the "lucky" ones (not) (not remotely) whose children are born outrageously early who live. Who suffer some really awful consequences and life-long disabilities.

I guess the ones who die, since they don't cost $51,000 the first year, aren't costing the system anything. Which means KV is making $30,000 in pure profit, essentially putting a price on a live child (because we? were all wondering).

To employ new math: It's not about the OFFSET you asshole, it's about taking a child to term. It's about HAVING A CHILD WHO LIVES. These moms don't deserve some fancy-ass package that your marketing team spent precious power point time dreaming up, they deserve a chance at a full-term pregnancy. THEY DESERVE A BABY WHO LIVES. Regardless of their income, or their insurance situation.

And that's not factoring in what I anticipate to be a rise in premature labor in lower income groups and those with government or private insurance because they won't be able to afford the same-old-drug in your fancy ass box. You aren't offsetting, you're going to cost. You're going to cost a lot. According to the March of Dimes,

Preterm birth is the leading cause of death in the first month of life in the United States. The preterm birth rate has increased about 20 percent since 1990, and costs the nation more than $26 billion a year, according to the Institute of Medicine report issued in July 2006.

## Calculated crystals that have nothing to do with the text
Entry 1:
The following is a GGA-PBE calculation of a relaxed Pr2SmGaO crystal, from Alexandria.

Output
DFT total energy = -29.0 eV per formula unit
uncorrected formation energy = -1.357 eV per atom
spin magnetization = 0.00 μB/f.u.

Lattice parameters (Å, degrees): 4.825 4.967 4.967 90.00 90.00 90.00
Atoms (fractional coordinates):
Pr  0.000  0.000  0.500
Pr  0.000  0.500  0.000
Sm  0.500  0.000  0.000
Ga  0.500  0.500  0.500
O  0.000  0.000  0.000

Entry 2:
The following is a GGA-PBE calculation of a relaxed DyEr2CdPd4 crystal, from Alexandria.

Output
DFT total energy = -42.0 eV per formula unit
formation enthalpy at 0 K = -0.828 eV/atom
spin magnetization = 0.00 μB/f.u.

Lattice parameters (Å, degrees): 4.857 4.857 8.412 73.22 73.22 60.00
Atoms (fractional coordinates):
Dy  0.000  0.000  0.000
Er  0.756  0.756  0.732
Er  0.244  0.244  0.268
Cd  0.500  0.500  0.500
Pd  0.373  0.373  0.881
Pd  0.879  0.879  0.364
Pd  0.121  0.121  0.636
Pd  0.627  0.627  0.119

Entry 3:
The following is a GGA-PBE calculation of a relaxed NaPtSe2O8 crystal, from Alexandria.

Output
DFT total energy = -60.9 eV per formula unit
uncorrected formation energy = -0.572 eV per atom
spin magnetization = 0.09 μB/f.u.

Lattice parameters (Å, degrees): 5.533 5.533 6.963 90.00 90.00 120.00
Atoms (fractional coordinates):
Na  0.000  0.000  0.500
Pt  0.000  0.000  0.000
Se  0.333  0.667  0.734
Se  0.667  0.333  0.266
O  0.160  0.319  0.798
O  0.160  0.840  0.798
O  0.681  0.840  0.798
O  0.319  0.160  0.202
O  0.667  0.333  0.501
O  0.333  0.667  0.499
O  0.840  0.681  0.202
O  0.840  0.160  0.202

- What is the spin magnetization in the third record?
  0.09 μB/f.u.


No. 1
This record from Alexandria describes PtW2Br after structural relaxation. The functional is PBE.

Cell lengths 3.372, 3.374, 6.907 Å; angles 90.00, 90.00, 90.00 degrees
Sites, in units of the cell vectors:
W  0.000  0.000  0.573
W  0.000  0.000  0.927
Pt  0.500  0.500  0.750
Br  0.500  0.500  0.250

Properties
SG = P4/mmm (123)
Energy above the lowest structure with this stoichiometry = 0.372 eV/atom
Calculated density = 13.6 g cm⁻³
Raw formation energy = 75 kJ/mol of atoms

No. 2
This record from Alexandria describes Tb4Cd2GaHg after structural relaxation. The functional is PBE.

Cell lengths 5.247, 5.247, 9.088 Å; angles 73.22, 73.22, 60.00 degrees
Sites, in units of the cell vectors:
Tb  0.622  0.622  0.133
Tb  0.872  0.872  0.383
Tb  0.128  0.128  0.617
Tb  0.378  0.378  0.867
Cd  0.251  0.251  0.246
Cd  0.749  0.749  0.754
Hg  0.000  0.000  0.000
Ga  0.500  0.500  0.500

Properties
Energy relative to the elements = -0.4186 eV per atom
SG = R-3m (166)
Calculated density = 9.2 g cm⁻³

No. 3
This record from Alexandria describes Li2CdSi after structural relaxation. The functional is PBE.

Cell lengths 4.878, 4.878, 5.116 Å; angles 84.07, 84.07, 33.64 degrees
Sites, in units of the cell vectors:
Li  0.239  0.239  0.267
Li  0.006  0.006  0.997
Cd  0.754  0.754  0.760
Si  0.501  0.501  0.476

Properties

I'm honestly apoplectic and don't know where to dump this other than here. You can read more about this decision to screw pregnant women over on NPR and numerous blogs, such as Bizmology and Contentenique.

Reaching KV is more difficult; if you feel this is an "investor Relations" issue, you can email them at I'd be more inclined to see this as "an adverse event or side effect" in which case you can email them at

Show some outrage, if you have a few moments. Women who have gone into labor prematurely and lost children -- or are living with the consequences of a child born way, way too early -- have already paid enough, a few lifetimes over. They don't owe big pharm jack squat.